Activity
Could you print the block further below with every line break kept?

Material
********
Nb2V2Fe5Si: relaxed, PBE.

Structure (CIF):
```
data_Nb2V2Fe5Si
_space_group_name_H-M_alt 'P 4/m b m'
_space_group_IT_number 127
_space_group_name_Hall '-P 4 2ab'
_cell_length_a 9.5755
_cell_length_b 9.5755
_cell_length_c 2.8050
_cell_angle_alpha 90.00
_cell_angle_beta 90.00
_cell_angle_gamma 90.00
loop_
_atom_site_label
_atom_site_type_symbol
_atom_site_fract_x
_atom_site_fract_y
_atom_site_fract_z
Nb1 Nb 0.1762 0.3238 0.0000
V1 V 0.1367 0.6367 0.0000
Fe1 Fe 0.0000 0.5000 0.5000
Fe2 Fe 0.0464 0.8072 0.5000
Si1 Si 0.0000 0.0000 0.0000
```

The formation energy without anion corrections is -0.01 eV per atom. The total energy comes out at -172.38 eV/cell. As for the density of states at the Fermi level: 18.8 states/eV/cell.
********

Outcome
Nb2V2Fe5Si: relaxed, PBE.

Structure (CIF):
```
data_Nb2V2Fe5Si
_space_group_name_H-M_alt 'P 4/m b m'
_space_group_IT_number 127
_space_group_name_Hall '-P 4 2ab'
_cell_length_a 9.5755
_cell_length_b 9.5755
_cell_length_c 2.8050
_cell_angle_alpha 90.00
_cell_angle_beta 90.00
_cell_angle_gamma 90.00
loop_
_atom_site_label
_atom_site_type_symbol
_atom_site_fract_x
_atom_site_fract_y
_atom_site_fract_z
Nb1 Nb 0.1762 0.3238 0.0000
V1 V 0.1367 0.6367 0.0000
Fe1 Fe 0.0000 0.5000 0.5000
Fe2 Fe 0.0464 0.8072 0.5000
Si1 Si 0.0000 0.0000 0.0000
```

The formation energy without anion corrections is -0.01 eV per atom. The total energy comes out at -172.38 eV/cell. As for the density of states at the Fermi level: 18.8 states/eV/cell.